Request:
Print everything underneath exactly.
Contents:
____________
This record from the Materials Project database describes As5Pb3S10 after structural relaxation. The functional is PBE-GGA.

a b c (Å): 8.7400 8.1718 26.4641
angles (deg): 90.00 104.03 90.00
Closest atoms and distances in Å follow each position.
Space group P2_1/c (No. 14)
Symmetry-distinct sites (fractional):
As  0.1110  0.0082  0.4522 x4  2 S 2.22-2.40
As  0.1916  0.1494  0.1606 x4  3 S 2.23-2.38
As  0.2104  0.6624  0.5473 x4  3 S 2.26-2.39
As  0.2471  0.6570  0.3518 x4  3 S 2.27-2.35
As  0.3580  0.1946  0.9325 x4  3 S 2.26-2.40
Pb  0.0250  0.2372  0.7908 x4  4 S 2.86-3.16
Pb  0.4023  0.0867  0.5792 x4  5 S 2.86-3.05
Pb  0.4845  0.7264  0.6987 x4  5 S 2.87-3.18
S  0.0172  0.6850  0.8247 x4  2 As 2.35-2.38
S  0.0926  0.1836  0.5144 x4  1 As 2.22
S  0.1381  0.0297  0.8985 x4  2 As 2.31-2.34
S  0.2083  0.6558  0.1112 x4  1 As 2.26
S  0.2377  0.0029  0.2354 x4  1 As 2.26
S  0.2422  0.5129  0.2782 x4  1 As 2.27
S  0.3230  0.6705  0.9934 x4  2 As 2.36-2.40
S  0.3356  0.1247  0.3664 x4  1 As 2.26
S  0.3924  0.1756  0.6828 x4  1 As 2.23
S  0.4456  0.5192  0.5885 x4  2 As 2.39-2.40

- Theoretical density: 4770 kg/m3
- Distance to the lowest polymorph of the same formula: 0 kJ/mol of formula units
- Uncorrected energy: -319.9 eV for the cell shown
- Magnetization: 0.00 μB per atom
____________
Solution:
This record from the Materials Project database describes As5Pb3S10 after structural relaxation. The functional is PBE-GGA.

a b c (Å): 8.7400 8.1718 26.4641
angles (deg): 90.00 104.03 90.00
Closest atoms and distances in Å follow each position.
Space group P2_1/c (No. 14)
Symmetry-distinct sites (fractional):
As  0.1110  0.0082  0.4522 x4  2 S 2.22-2.40
As  0.1916  0.1494  0.1606 x4  3 S 2.23-2.38
As  0.2104  0.6624  0.5473 x4  3 S 2.26-2.39
As  0.2471  0.6570  0.3518 x4  3 S 2.27-2.35
As  0.3580  0.1946  0.9325 x4  3 S 2.26-2.40
Pb  0.0250  0.2372  0.7908 x4  4 S 2.86-3.16
Pb  0.4023  0.0867  0.5792 x4  5 S 2.86-3.05
Pb  0.4845  0.7264  0.6987 x4  5 S 2.87-3.18
S  0.0172  0.6850  0.8247 x4  2 As 2.35-2.38
S  0.0926  0.1836  0.5144 x4  1 As 2.22
S  0.1381  0.0297  0.8985 x4  2 As 2.31-2.34
S  0.2083  0.6558  0.1112 x4  1 As 2.26
S  0.2377  0.0029  0.2354 x4  1 As 2.26
S  0.2422  0.5129  0.2782 x4  1 As 2.27
S  0.3230  0.6705  0.9934 x4  2 As 2.36-2.40
S  0.3356  0.1247  0.3664 x4  1 As 2.26
S  0.3924  0.1756  0.6828 x4  1 As 2.23
S  0.4456  0.5192  0.5885 x4  2 As 2.39-2.40

- Theoretical density: 4770 kg/m3
- Distance to the lowest polymorph of the same formula: 0 kJ/mol of formula units
- Uncorrected energy: -319.9 eV for the cell shown
- Magnetization: 0.00 μB per atom